-- Excerpt --
=====
# 1
A relaxed Ca16MgAl14Si9O56 crystal, computed with PBE-GGA.

The spin magnetization comes out at 0.00 Bohr magnetons per cell.

```
Ca16MgAl14Si9O56
1.0
6.8954 0.0000 0.0000
-0.0615 7.0324 0.0000
-0.8676 -0.7791 26.9301
Ca Mg Al Si O
16 1 14 9 56
Direct
0.0000 0.0000 0.0000
0.0010 0.0662 0.2384
0.0181 0.0547 0.4865
0.0330 0.7014 0.8825
0.1908 0.4999 0.1921
0.1921 0.4777 0.4319
0.2242 0.0315 0.6574
0.2318 0.9900 0.3513
0.2465 0.9723 0.1166
0.2990 0.4605 0.7869
0.3382 0.1529 0.9099
0.4154 0.5687 0.0558
0.4199 0.5561 0.3110
0.4566 0.6710 0.5581
0.9167 0.4681 0.6345
0.9428 0.9185 0.7590
0.6702 0.2849 0.7104
0.2285 0.3027 0.5760
0.5033 0.7660 0.4317
0.5217 0.6692 0.9322
0.5239 0.7484 0.1836
0.6346 0.8348 0.8471
0.6867 0.3887 0.4489
0.6937 0.3799 0.2080
0.7298 0.8806 0.3409
0.7466 0.8738 0.1014
0.7706 0.3125 0.9488
0.8175 0.9922 0.5911
0.9080 0.2510 0.3652
0.9301 0.2575 0.1185
0.9584 0.1849 0.8594
0.4364 0.0016 0.7563
0.4601 0.0660 0.2579
0.4998 0.0889 0.5110
0.5031 0.9996 0.0123
0.6340 0.7616 0.6726
0.8062 0.4777 0.8077
0.9078 0.5941 0.5303
0.9598 0.5691 0.0407
0.9667 0.5677 0.2919
0.0329 0.1251 0.5769
0.0454 0.4347 0.3374
0.0518 0.4073 0.0777
0.0848 0.1828 0.4110
0.1072 0.2071 0.1660
0.1223 0.5371 0.5555
0.1285 0.7318 0.0367
0.1385 0.7148 0.2771
0.1890 0.2592 0.8423
0.2463 0.8788 0.7370
0.2893 0.2077 0.2762
0.3051 0.1106 0.9987
0.3169 0.2372 0.5141
0.3219 0.7164 0.3850
0.3474 0.7838 0.8934
0.3581 0.6780 0.1347
0.3792 0.9317 0.2107
0.3979 0.9031 0.4807
0.4066 0.2162 0.7337
0.4370 0.7855 0.6395
0.4911 0.0002 0.8149
0.5012 0.7741 0.9929
0.5018 0.5470 0.4635
0.5111 0.9356 0.3070
0.5127 0.5465 0.2225
0.5315 0.9803 0.0737
0.5347 0.4148 0.9358
0.5752 0.0115 0.5646
0.6105 0.6158 0.8076
0.6288 0.9181 0.7227
0.6591 0.1706 0.2414
0.6833 0.1726 0.4811
0.6852 0.1181 0.9892
0.6847 0.3363 0.3847
0.6874 0.5547 0.6932
0.7076 0.8552 0.4042
0.7205 0.3445 0.1449
0.7275 0.7706 0.9065
0.7370 0.4983 0.5615
0.7485 0.8374 0.1658
0.7586 0.1779 0.6436
0.7631 0.6623 0.3086
0.7645 0.6571 0.0668
0.8020 0.2802 0.7764
0.8324 0.8119 0.6392
0.8325 0.4067 0.8666
0.8743 0.9573 0.8375
0.8871 0.8247 0.5324
0.9025 0.4826 0.9856
0.9067 0.5085 0.4718
0.9117 0.0446 0.3250
0.9197 0.4387 0.2402
0.9308 0.0343 0.0856
0.9344 0.1896 0.6804
0.9668 0.1588 0.9260
0.9981 0.6101 0.7965
```

# 2
A relaxed Ca2MgAl2Si3O12 crystal, computed with PBE-GGA.

The spin magnetization comes out at 0.00 Bohr magnetons per cell. The polymorph energy (0 for the lowest one) comes out at 0 meV/atom.

```
Ca2MgAl2Si3O12
1.0
6.5939 0.0000 0.0000
0.6857 6.5803 0.0000
2.2888 1.9232 10.2218
Ca Mg Al Si O
4 2 4 6 24
Direct
0.1906 0.3093 0.3768
0.1969 0.3003 0.8714
0.8031 0.6997 0.1286
0.8094 0.6907 0.6232
0.4045 0.0941 0.1255
0.5955 0.9059 0.8745
0.3132 0.6125 0.6091
0.4095 0.0878 0.6213
0.5905 0.9122 0.3787
0.6868 0.3875 0.3909
0.1152 0.8105 0.3629
0.1205 0.8034 0.8614
0.3079 0.6237 0.1136
0.6921 0.3763 0.8864
0.8795 0.1966 0.1386
0.8848 0.1895 0.6371
0.1109 0.1057 0.0866
0.1238 0.1007 0.5935
0.1238 0.6808 0.2418
0.1249 0.6561 0.7532
0.1579 0.6304 0.4886
0.1737 0.6329 0.9956
0.2996 0.9731 0.3235
0.3047 0.9688 0.8065
0.3876 0.3891 0.1649
0.3914 0.3533 0.6554
0.4768 0.7983 0.0694
0.4795 0.8204 0.5634
0.5205 0.1796 0.4366
0.5232 0.2017 0.9306
0.6086 0.6467 0.3446
0.6124 0.6109 0.8351
0.6953 0.0312 0.1935
0.7004 0.0269 0.6765
0.8263 0.3671 0.0044
0.8421 0.3696 0.5114
0.8751 0.3439 0.2468
0.8762 0.3192 0.7582
0.8762 0.8993 0.4065
0.8891 0.8943 0.9134
```

# 3
A relaxed Ca2MgAl2Si3O12 crystal, computed with PBE-GGA.

The spin magnetization comes out at 0.00 Bohr magnetons per cell. The polymorph energy (0 for the lowest one) comes out at 9 meV/atom.

```
Ca2MgAl2Si3O12
1.0
5.3519 0.0000 0.0000
1.4322 6.4332 0.0000
1.3582 0.3745 6.4492
Ca Mg Al Si O
2 1 2 3 12
Direct
0.0000 0.0000 0.0000
0.4979 0.3920 0.6090
0.9890 0.6086 0.4027
0.4905 0.7926 0.2230
0.5230 0.8876 0.6965
0.0239 0.0825 0.5080
0.4700 0.3171 0.1183
0.9644 0.5068 0.9333
0.0548 0.5911 0.6999
0.1271 0.8998 0.3376
0.2334 0.3346 0.9830
=====

-- Brief --
Your job: repeat the data earlier on without altering anything.

-- Response --
# 1
A relaxed Ca16MgAl14Si9O56 crystal, computed with PBE-GGA.

The spin magnetization comes out at 0.00 Bohr magnetons per cell.

```
Ca16MgAl14Si9O56
1.0
6.8954 0.0000 0.0000
-0.0615 7.0324 0.0000
-0.8676 -0.7791 26.9301
Ca Mg Al Si O
16 1 14 9 56
Direct
0.0000 0.0000 0.0000
0.0010 0.0662 0.2384
0.0181 0.0547 0.4865
0.0330 0.7014 0.8825
0.1908 0.4999 0.1921
0.1921 0.4777 0.4319
0.2242 0.0315 0.6574
0.2318 0.9900 0.3513
0.2465 0.9723 0.1166
0.2990 0.4605 0.7869
0.3382 0.1529 0.9099
0.4154 0.5687 0.0558
0.4199 0.5561 0.3110
0.4566 0.6710 0.5581
0.9167 0.4681 0.6345
0.9428 0.9185 0.7590
0.6702 0.2849 0.7104
0.2285 0.3027 0.5760
0.5033 0.7660 0.4317
0.5217 0.6692 0.9322
0.5239 0.7484 0.1836
0.6346 0.8348 0.8471
0.6867 0.3887 0.4489
0.6937 0.3799 0.2080
0.7298 0.8806 0.3409
0.7466 0.8738 0.1014
0.7706 0.3125 0.9488
0.8175 0.9922 0.5911
0.9080 0.2510 0.3652
0.9301 0.2575 0.1185
0.9584 0.1849 0.8594
0.4364 0.0016 0.7563
0.4601 0.0660 0.2579
0.4998 0.0889 0.5110
0.5031 0.9996 0.0123
0.6340 0.7616 0.6726
0.8062 0.4777 0.8077
0.9078 0.5941 0.5303
0.9598 0.5691 0.0407
0.9667 0.5677 0.2919
0.0329 0.1251 0.5769
0.0454 0.4347 0.3374
0.0518 0.4073 0.0777
0.0848 0.1828 0.4110
0.1072 0.2071 0.1660
0.1223 0.5371 0.5555
0.1285 0.7318 0.0367
0.1385 0.7148 0.2771
0.1890 0.2592 0.8423
0.2463 0.8788 0.7370
0.2893 0.2077 0.2762
0.3051 0.1106 0.9987
0.3169 0.2372 0.5141
0.3219 0.7164 0.3850
0.3474 0.7838 0.8934
0.3581 0.6780 0.1347
0.3792 0.9317 0.2107
0.3979 0.9031 0.4807
0.4066 0.2162 0.7337
0.4370 0.7855 0.6395
0.4911 0.0002 0.8149
0.5012 0.7741 0.9929
0.5018 0.5470 0.4635
0.5111 0.9356 0.3070
0.5127 0.5465 0.2225
0.5315 0.9803 0.0737
0.5347 0.4148 0.9358
0.5752 0.0115 0.5646
0.6105 0.6158 0.8076
0.6288 0.9181 0.7227
0.6591 0.1706 0.2414
0.6833 0.1726 0.4811
0.6852 0.1181 0.9892
0.6847 0.3363 0.3847
0.6874 0.5547 0.6932
0.7076 0.8552 0.4042
0.7205 0.3445 0.1449
0.7275 0.7706 0.9065
0.7370 0.4983 0.5615
0.7485 0.8374 0.1658
0.7586 0.1779 0.6436
0.7631 0.6623 0.3086
0.7645 0.6571 0.0668
0.8020 0.2802 0.7764
0.8324 0.8119 0.6392
0.8325 0.4067 0.8666
0.8743 0.9573 0.8375
0.8871 0.8247 0.5324
0.9025 0.4826 0.9856
0.9067 0.5085 0.4718
0.9117 0.0446 0.3250
0.9197 0.4387 0.2402
0.9308 0.0343 0.0856
0.9344 0.1896 0.6804
0.9668 0.1588 0.9260
0.9981 0.6101 0.7965
```

# 2
A relaxed Ca2MgAl2Si3O12 crystal, computed with PBE-GGA.

The spin magnetization comes out at 0.00 Bohr magnetons per cell. The polymorph energy (0 for the lowest one) comes out at 0 meV/atom.

```
Ca2MgAl2Si3O12
1.0
6.5939 0.0000 0.0000
0.6857 6.5803 0.0000
2.2888 1.9232 10.2218
Ca Mg Al Si O
4 2 4 6 24
Direct
0.1906 0.3093 0.3768
0.1969 0.3003 0.8714
0.8031 0.6997 0.1286
0.8094 0.6907 0.6232
0.4045 0.0941 0.1255
0.5955 0.9059 0.8745
0.3132 0.6125 0.6091
0.4095 0.0878 0.6213
0.5905 0.9122 0.3787
0.6868 0.3875 0.3909
0.1152 0.8105 0.3629
0.1205 0.8034 0.8614
0.3079 0.6237 0.1136
0.6921 0.3763 0.8864
0.8795 0.1966 0.1386
0.8848 0.1895 0.6371
0.1109 0.1057 0.0866
0.1238 0.1007 0.5935
0.1238 0.6808 0.2418
0.1249 0.6561 0.7532
0.1579 0.6304 0.4886
0.1737 0.6329 0.9956
0.2996 0.9731 0.3235
0.3047 0.9688 0.8065
0.3876 0.3891 0.1649
0.3914 0.3533 0.6554
0.4768 0.7983 0.0694
0.4795 0.8204 0.5634
0.5205 0.1796 0.4366
0.5232 0.2017 0.9306
0.6086 0.6467 0.3446
0.6124 0.6109 0.8351
0.6953 0.0312 0.1935
0.7004 0.0269 0.6765
0.8263 0.3671 0.0044
0.8421 0.3696 0.5114
0.8751 0.3439 0.2468
0.8762 0.3192 0.7582
0.8762 0.8993 0.4065
0.8891 0.8943 0.9134
```

# 3
A relaxed Ca2MgAl2Si3O12 crystal, computed with PBE-GGA.

The spin magnetization comes out at 0.00 Bohr magnetons per cell. The polymorph energy (0 for the lowest one) comes out at 9 meV/atom.

```
Ca2MgAl2Si3O12
1.0
5.3519 0.0000 0.0000
1.4322 6.4332 0.0000
1.3582 0.3745 6.4492
Ca Mg Al Si O
2 1 2 3 12
Direct
0.0000 0.0000 0.0000
0.4979 0.3920 0.6090
0.9890 0.6086 0.4027
0.4905 0.7926 0.2230
0.5230 0.8876 0.6965
0.0239 0.0825 0.5080
0.4700 0.3171 0.1183
0.9644 0.5068 0.9333
0.0548 0.5911 0.6999
0.1271 0.8998 0.3376
0.2334 0.3346 0.9830